It appears we have something of a problem. It’s not really a new problem, and shouldn’t be too surprising, but it did pop up again this week: bogus CVEs. Starting out in the security field? What’s the best way to jump-start a career? Getting a CVE find to your name certainly can’t hurt. And as a result, you get very junior security researchers looking for and reporting novel security vulnerabilities of sometimes dubious quality. Sometimes that process looks a lot like slinging reports against the wall to see what sticks. Things brings us to an odd bug report in the OBS Studio project.
A researcher put together a script to look for possible password exposure on Github projects, and it caught a configuration value named “password” in a .ini
file, being distributed in the project source. Obvious credential leak in Git source, right? Except for the little detail that it was in the “locale” folder, and the files were named ca-es.ini
, ja-jp.ini
, and similar. You may be in on the joke by now, but if not, those are translation strings. It wasn’t leaked credentials, it was various translations of the word “password”. This sort of thing happens quite often, and from the viewpoint of a researcher looking at results from an automated tool, it can be challenging to spend enough time with each result to fully understand the code in question. It looks like this case includes a language barrier, making it even harder to clear up the confusion.
Things took a turn for the worse when a CVE was requested. The CVE Numbering Authority (CNA) that processed the request was MITRE, which issued CVE-2023-34585. It was a completely bogus CVE, and thankfully a more complete explanation from OBS was enough to convince the researcher of his error. That, however, brings us back to CVE-2023-36262, which was published this week. It’s yet another CVE, for the same non-issue, and even pointing at the same GitHub issue where the alleged bug is debunked. There’s multiple fails here, but the biggest disappointment is MITRE, for handing out CVEs twice for the same issue. Shout-out to [Netspooky] on Twitter for spotting this one.
Bogus PoC
Don’t run untrusted code. Don’t run untrusted code, even if it’s claimed to be a Proof of Concept (PoC) from a security researcher. The background is CVE-2023-35829, a use-after-free in the Rokchip video driver in Linux kernel versions prior to 6.3.2. There’s not a lot of details about this flaw, except that in certain instances it could be used to achieve escalation of privilege. What’s newsworthy is that there was a PoC published on Github, and shared fairly widely on Twitter, but turns out that PoC also included a nasty little surprise.
For anyone that has ran this PoC, consider your data stolen. This is what eventually runs on your host after a few stages. If you wanna analyse it, don't use a web browser or your IP will get blacklisted. #CVE_2023_35829 #backdoor
— Andrei Scutariu (@xnand_) July 4, 2023
The tweets and GitHub repositories have been yanked, but a bit of Google-fu can find the cached repos. (Warning, running that PoC is not a good idea.)
Bogus Breach Claim — Maybe
There’s a relatively new hacktivist group making itself a pain to the Western world recently, working under the name Anonymous Sudan. This group has made it’s name by doing Distributed Denial of Service attacks against Western targets like Microsoft. This week, the group made claims that they had hit Microsoft with a breach, and exfiltrated 30 million customers’ data. The only problem is that Microsoft can’t find any sign of a problem. The 100 samples of stolen data that were released with the announcement seem to be from an old incident, so we’re rating this one “probably bogus”.
These calculated molecules were left in the piece by mistake:
- - -
DFT (the ωB97M-V functional and the def2-TZVPD basis) results for a cluster of 2 separate species, C4H8NO2 in total at a distorted geometry.

CARTESIAN COORDINATES (ANGSTROEM)
1 O 2.8550 -0.5212 1.6947
2 H 3.0551 0.9901 0.2405
3 O -0.8592 0.8660 -2.6629
4 H -0.7607 1.6992 -0.7534
5 H -0.9520 -1.8498 0.9458
6 C 2.4550 0.0902 0.5626
7 C -0.6441 -0.3792 -0.5984
8 C -1.1839 -0.8345 0.6140
9 H 2.3760 -0.5492 -0.3555
10 H -2.2866 0.8685 -1.1928
11 H -0.1247 -1.0783 -1.2468
12 N -1.9328 -0.0755 1.3659
13 H 1.4235 0.5443 0.5468
14 H -2.2358 -0.6114 2.1791
15 C -1.1851 0.8409 -1.3395

Total energy ... -362.23222 Eh
Lowest unoccupied orbital energy (alpha / beta) ... 6.78 / 6.73 eV
Charge ... -2
Highest occupied orbital energy (alpha / beta) ... 0.88 / 0.90 eV
Spin multiplicity ... 2
Gap between HOMO and LUMO (alpha / beta) ... 5.899 / 5.823 eV
ΔE to the lowest compared entry with this formula, charge and spin ... 85.6 kcal per mole
F_max ... 1.6 eV/A
Expectation value of S² ... 0.7675

* * * * *

No. 1
Molecular formula: C4H7NO3
Method: DFT, ωB97M-V/def2-TZVPD

Values from the calculation:
* maximum force: 4.638 eV/Å
* E: -436.9733 Eh
* HOMO energy: -9.66 eV
* SMILES: C[C@H]1[C@@H](O)C(=O)N1O
* E_LUMO: 0.582 eV

```
! RIJCOSX wB97M-V def2-TZVPD def2/J DEFGRID3
* xyz 0 1
C -1.043 0.751 -0.906
C 0.058 0.785 0.199
C -0.169 -0.183 1.388
C 0.935 -1.108 0.684
H -0.741 1.461 -1.812
H -1.337 -0.315 -1.306
H -1.963 1.188 -0.610
H 0.481 1.741 0.449
H 0.212 0.519 2.207
H -1.133 -1.700 1.408
H 2.254 0.285 -1.795
N 1.167 -0.089 -0.265
O -1.355 -0.810 1.359
O 1.234 -2.256 0.664
O 1.401 -0.269 -1.664
*
```

Atom charges from the natural (NBO) analysis, given in e for atoms 1 to 8:
1. C -0.640
2. C -0.079
3. C 0.012
4. C 0.636
5. H 0.222
6. H 0.236
7. H 0.219
8. H 0.193

No. 2
Molecular formula: C4H5NO2
Method: DFT, ωB97M-V/def2-TZVPD

Values from the calculation:
* maximum force: 0.787 eV/Å
* E: -360.5943 Eh
* HOMO energy: -10.01 eV
* SMILES: O=C[C@H]1CN1C=O
* E_LUMO: 0.485 eV

```
! RIJCOSX wB97M-V def2-TZVPD def2/J DEFGRID3
* xyz 0 1
O -0.118 1.391 1.770
C -0.824 1.124 0.825
C -0.876 -0.248 0.208
C -0.377 -0.477 -1.176
N 0.347 -0.983 -0.032
C 1.609 -0.441 0.255
O 2.348 0.000 -0.590
H -1.497 1.885 0.376
H -1.716 -0.851 0.552
H 0.084 0.346 -1.716
H -0.867 -1.226 -1.789
H 1.886 -0.519 1.316
*
```

Atom charges from the natural (NBO) analysis, given in e for atoms 1 to 8:
1. O -0.490
2. C 0.417
3. C -0.173
4. C -0.235
5. N -0.430
6. C 0.534
7. O -0.555
8. H 0.127

* * * * *

No. 1
Below is 2 unconnected molecules or ions with the total composition C3H12N3O, with properties calculated with the ωB97M-V functional and the def2-TZVPD basis.

Computed properties:
molecular weight = 106.15 g mol⁻¹
HOMO-LUMO gap = 0.365 hartree
LUMO energy = -2.950 eV
HOMO energy = -12.8906 eV
net charge = +1

Each line ends with the Mulliken charge.
Cartesian coordinates (Å):
O: -2.157 0.908 -0.354  -0.493
N: -0.584 2.399 -1.157  -0.479
N: -0.452 -0.959 0.614  -0.099
- - -
WordPress Plugin: Ultimate Member
On the other hand, the attack against WordPress installs using the Ultimate Member plugin seems to be very real. The vulnerability involves setting a user’s wp_capabilities
value to jump to administrator privileges. That was accomplished by side-stepping security code through the use of wp_capabiliti\\es
, wp_caPabilitiEs
, and a few other creative bypasses. With version 2.6.7 of the plugin, a whitelist of those allowed keys has been added, finally putting the issue to rest.
Researcher [R3zk0n] has found a series of issues in the ServiceNow platform that could lead to Admin access. This cloud system provides IT software as a service, and is used widely worldwide. The issue allows any standard user account to become an administrator. The PoC is published, and a ServiceNow update is available. While it is a welcome relief that this attack requires a valid user account, it still ranks a CVSS of 9.9, and may prove to be quite a problem.
Quantum chemistry results, as found in the file:
<one>
Below is an isolated ion of composition C5H8N3 and charge +1, with properties calculated with ωB97M-V/def2-TZVPD.

XYZ file:
```
16
C5H8N3, DFT ωB97M-V/def2-TZVPD
C 2.05 0.28 0.21
N 1.02 -0.49 -0.21
N -0.24 -0.11 0.04
C -1.19 -1.05 0.22
C -2.56 -0.62 0.25
C -2.82 0.72 -0.07
N -1.81 1.61 -0.15
C -0.61 1.21 -0.06
H 2.28 0.19 1.35
H 3.02 0.06 -0.21
H 1.70 1.36 0.10
H 1.29 -1.50 -0.30
H -0.81 -2.08 0.11
H -3.38 -1.27 0.49
H -3.78 1.11 -0.13
H 0.09 1.97 -0.08
```

Computed properties:
Frontier orbital gap = 8.85 eV
Structure (SMILES) = CN[n+]1cccnc1
Multiplicity = 1
Net charge = +1
Molecular weight = 110.140 g/mol
LUMO energy = -4.906 eV


<two>
Below is an isolated ion of composition C5H8N3 and charge +1, with properties calculated with ωB97M-V/def2-TZVPD.

XYZ file:
```
16
C5H8N3, DFT ωB97M-V/def2-TZVPD
H -2.10 2.45 1.71
N -2.32 2.26 0.74
C -1.40 2.01 -0.01
C -1.14 1.63 -1.34
C 0.01 1.48 -0.27
N 0.47 0.39 0.31
C 0.19 -0.71 0.74
N 0.57 -1.94 0.92
C 1.57 -2.48 0.07
H -0.99 2.32 -2.08
H -1.63 0.78 -1.75
H 0.74 2.35 -0.21
H 0.28 -2.44 1.82
H 1.50 -3.51 -0.41
H 2.56 -2.63 0.58
H 1.70 -1.96 -0.83
```

Computed properties:
Frontier orbital gap (alpha / beta) = 8.26 / 8.26 eV
Structure (SMILES) = [H]/N=C1/C[C@@H]1N=C=[NH+]C
Multiplicity = 1
Net charge = +1
Molecular weight = 110.140 g/mol
LUMO energy (alpha / beta) = -5.268 / -5.267 eV


The most stable of them is <one>.


<one>
Below is an isolated ion of composition C5H8N3 and charge +1, with properties calculated with ωB97M-V/def2-TZVPD.

XYZ file:
```
16
C5H8N3, DFT ωB97M-V/def2-TZVPD
C -1.10 -0.80 1.08
C -0.43 -1.32 0.04
C 0.52 1.39 0.07
C -0.53 1.36 0.95
C 1.15 -1.49 -1.79
N 0.91 0.43 -0.72
N 0.50 -0.76 -0.75
N -1.05 2.17 1.78
H -1.80 -1.15 1.88
H -0.56 -2.37 -0.12
H 1.07 2.30 -0.19
H 1.77 -0.67 -2.15
H 1.79 -2.29 -1.52
H 0.49 -1.79 -2.60
H -1.80 1.85 2.49
H -0.94 3.15 1.55
```

Computed properties:
Frontier orbital gap = 8.55 eV
Multiplicity = 1
Net charge = +1
Molecular weight = 110.140 g/mol
LUMO energy = -4.915 eV


<two>
Below is an isolated ion of composition C5H8N3 and charge +1, with properties calculated with ωB97M-V/def2-TZVPD.

XYZ file:
```
16
C5H8N3, DFT ωB97M-V/def2-TZVPD
C -1.62 -1.09 0.08
C -0.40 0.94 -0.02
C 0.91 1.58 0.05
C 1.81 0.33 -0.17
C 0.92 -0.95 0.05
N -2.65 0.95 -0.02
N -2.68 -0.30 -0.03
N -0.44 -0.36 0.09
H -1.78 -2.11 -0.26
H 1.20 2.52 -0.37
H 1.13 1.66 1.08
H 2.44 0.17 -1.05
H 2.50 0.46 0.66
H 0.91 -1.62 -0.80
H 1.25 -1.30 0.98
H -3.51 -0.86 -0.28
```

Computed properties:
Frontier orbital gap (alpha / beta) = 7.65 / 7.65 eV
Multiplicity = 1
Net charge = +1
Molecular weight = 110.140 g/mol
LUMO energy (alpha / beta) = -5.679 / -5.684 eV


<three>
Below is an isolated ion of composition C5H8N3 and charge +1, with properties calculated with ωB97M-V/def2-TZVPD.

XYZ file:
```
16
C5H8N3, DFT ωB97M-V/def2-TZVPD
H -3.60 1.05 0.42
N -2.86 0.37 0.36
C -1.73 0.79 0.06
C -0.64 -0.15 -0.05
N -0.71 -1.48 -0.03
C 0.53 -2.06 -0.21
C 1.47 -1.05 -0.21
N 0.90 0.12 -0.10
Bits and Bytes
We do have an interesting problem in the Linux Kernel, nicknamed StackRot. It’s a very broad privilege escalation, introduced in kernel 6.1 with the addition of the Maple Tree memory structure. This vulnerability actually ended up provoking Linus Torvalds to sling some C code himself to fix it. The fix is in versions 6.1.37, 6.3.11, 6.4.1, and the in-process 6.5 code.
PortSwigger is back with a guide to GraphQL. Turns out that there are some common ways to find GraphQL endpoints, and potentially quite a bit of information that can be gathered from looking at what’s available at that endpoint.
Similarly, HAKAI Offensive Security has a primer on finding Nginx traversal flaws. The most common one seems to be a location configuration that lacks the final slash on a path, opening up the server to path traversal and other fun tricks. Go forth and learn! And hack responsibly.
This pleases Bill and Ted
'''
{
  "formula": "C19H26N2O3",
  "method": "ωB97M-V with the def2-TZVPD basis set",
  "e_above_lowest_kcal_mol": 47.5,
  "homo_energy_ha": -0.29358,
  "total_charge": 0,
  "molar_mass_da": 330.43,
  "smiles": "CCOc1ccc(CCNC(=O)CCn2cccc2)cc1OCC",
  "species": ["C", "C", "H", "H", "O", "C", "C", "C", "C", "C", "C", "O", "C", "C", "H", "H", "H", "H", "H", "H", "C", "H", "H", "C", "N", "C", "O", "C", "H", "H", "C", "N", "C", "C", "C", "C", "H", "H", "H", "H", "H", "H", "H", "H", "H", "H", "H", "H", "H", "H"],
  "positions_angstrom": [[5.006525, -3.092953, 0.878313], [3.833360, -3.878159, 1.458547], [4.082270, -4.942846, 1.494345], [3.607673, -3.547554, 2.479775], [2.680776, -3.824979, 0.645537], [1.943120, -2.669427, 0.568733], [2.108661, -1.587151, 1.423498], [1.297608, -0.468843, 1.343856], [0.291827, -0.395221, 0.395497], [0.132308, -1.464468, -0.471264], [0.937174, -2.596326, -0.416023], [0.610140, -3.569963, -1.315903], [1.602441, -4.425223, -1.854419], [2.683372, -3.660876, -2.611252], [3.367866, -4.361715, -3.081472], [2.232411, -3.035480, -3.378522], [3.243724, -3.023618, -1.931323], [2.050974, -5.046673, -1.074094], [1.043323, -5.066483, -2.541990], [-0.637167, -1.444267, -1.227371], [-0.624870, 0.790419, 0.317729], [-0.873044, 1.008028, -0.721723], [-0.140011, 1.671231, 0.744617], [-1.924197, 0.509399, 1.085094], [-2.817595, 1.644187, 1.071567], [-3.950558, 1.675322, 0.337426], [-4.355893, 0.735885, -0.312299], [-4.690664, 3.007593, 0.403149], [-5.749786, 2.817892, 0.229838], [-4.563747, 3.464738, 1.385295], [-4.173047, 3.956929, -0.690345], [-2.772904, 4.235803, -0.535078], [-2.224665, 4.972831, 0.469170], [-0.862720, 4.944512, 0.339359], [-0.573193, 4.150606, -0.787396], [-1.770397, 3.727636, -1.296989], [-1.983067, 3.108385, -2.146215], [0.399724, 3.922949, -1.175692], [-0.152939, 5.439233, 0.973073], [-2.840988, 5.479057, 1.187062], [-4.738529, 4.894802, -0.651032], [-4.327743, 3.496170, -1.668877], [-2.477098, 2.494982, 1.493429], [-2.459285, -0.322023, 0.622391], [-1.690417, 0.249373, 2.122691], [1.459033, 0.348922, 2.030583], [2.872069, -1.611497, 2.184837], [4.758814, -2.037999, 0.786008], [5.872686, -3.196883, 1.526030], [5.256643, -3.476259, -0.108171]],
'''
**Back to the page**
fake hack news.
A POC says “Here is an example of code that can do Bad Stuff” – so yes, running without being careful is a way to make Bad Stuff happen, and the best case is you get some dialog box saying “See? This is where POC would use its enhanced privileges to do Bad Stuff!” or calc.exe popping up or whatever.